Chereads / A Journey Unwanted / Chapter 119 - Chapter 111: Centre of attention

Chapter 119 - Chapter 111: Centre of attention

If what you claim is truly the truth...." King Thordan trailed off as he addressed Aleister, his gaze seemed shaky and his voice slightly unsteady. The headmaster could not blame the man, having witnessed the horrors Selwyn committed and lived to tell the tale.

Aleister himself had heard the stories while he fought in the war ten years back. The spawn of Octavia, Lucinda, but eight years old. Galadriel had attempted to keep her existence hidden, but something as big as that was bound to be discovered, and it was. Some snake had leaked information, naturally nations both small and large grew enraged at the prospect of Galadriel hoarding a spawn of Octavia to themselves. And then no sooner had war broken out, he vividly remembered.

He was stationed to protect Lucinda herself, though it was so long ago he doubted the girl remembered it was him that defended her. But he remembered it well, those big scared red eyes, her nervous shaking, her tears. Her despair at knowing people were dying all because of her, her fear. Fear that he too had shared, many would when they heard of one boy decimating an entire army led by the king himself.

A man of great age, but a man who had mastered all forms of combat, who had perfected his Familial Arts. A man so powerful he could keep his position as king despite not being of noble descent. And a man who was cut down instantly by Selwyn Von Auerswald. Cutting down armies upon armies of men from opposing nations, yet at the time he could not have been older than eighteen. Though underneath that youth hid a monster who only sought enjoyment through terror. A monster nearly everyone fell to, a monster who nearly dominated all.

So to hear a random masked foreigner, a child no less, having matched such a monster and lived to tell the tale was plain absurd, unthinkable even, and that was putting it extremely lightly. And most important of all, it made Mikoto Yukio dangerous. King Thordan no doubt realized the foreign name, Aleister could tell what was going through the king's head. A foreigner had no alliances to the throne of Galadriel. Furthermore, what motivated the young boy? Would he change allegiance if he were offered something greater? What did someone like him desire? Women? Money? Influence? Political Power? Mere questions without answers, one fact remained, though. Mikoto could be their greatest asset or their greatest nightmare. There was no two ways about it.

".....this Mikoto, having fought that monster..." Thordan continued. "It's honestly absurd, but there would be no use in you lying." He rubbed his eyes, a frown sitting at his lips. "Even so, I'll have Guinevere review everything later. But this Mikoto, he is a student..."

"A first-year to be exact, he doesn't need glyphs to properly maintain a spell. And his magic is plenty strong without chants. Furthermore, I'm sure the city experienced another tremor earlier. Yet again, that was Mikoto's doing." Aleister chuckled. "He destroyed the entire forest near my academy."

King Thordan blinked, "The...the entire forest?" He questioned, no doubt questioning just how absurd that prospect was.

"And he promptly restored it afterward." Aleister would admit, he took some pleasure in the baffled expression his king wore. "But moving on, I know what you are thinking..."

"And do you have an answer? Could this boy be trusted?" Thordan asked, with a hint of nervousness in his voice.

"I honestly have no clue." Aleister freely admitted. "I've scarcely interacted with the boy, and even the professor sent with him on the curriculum had rarely spoken with him. I cannot discern what drives that boy, and I cannot even begin to think of what that mask hides. If mystery was given form, it would be Mikoto."

Thordan frowned at the answer, "So...he is a wild card, a dangerous one." The king heaved a tired sigh. "If that is the case, then counter-"

"I would not recommend that." A feminine voice interrupted him, and the two turned to gaze at the source. Idly, she stood leaned against the vast walls of the throne room, standing there with her arms folded underneath her chest as if she were there the entire time. Galadriel's court mage.

Guinevere took leisurely steps towards the two, her heels clicking and echoing through the vast chamber.

"Guinevere," King Thordan greeted. "You only make yourself known now, why?"

A small smile played at her rosy pink lips, "My king, I was merely keen on listening, but as court mage and as your adviser, it is important for me to make sure you do not make any foolish decisions."

"Foolish?" He furrowed his brows at her words.

"We should not antagonize Mikoto, she meant. Is that right?" Aleister surmised, and Guinevere nodded.

"A wildcard like him can't simply be left alone." Thordan reasoned. "Once more, he's a foreigner, he has no loyalty to the throne, what's stopping him from turning on Galadriel?"

"As far as I can see, nothing really," Guinevere inputted. "Though even if he turned against the kingdom, we might just need to roll over and die."

"What!?" Thordan blurted out, and Aleister merely quirked up a brow in interest.

"Hoh? The court mage herself gave the verdict?" He mused. "Then even you are not confident in besting him? Even with one of the seven divine beasts at your disposal?"

"I am merely being realistic," she drawled. "See, the first time I laid eyes on that boy, I noted something rather peculiar." She started. "You see, there are simple ways of hiding one's mana, for instance, simply reining it in and suppressing it further within one's body. Though the more complex and secure method is using illusionary magic. Mikoto utilizes the latter method, he creates multiple barriers with illusionary magic to keep his true mana signature hidden. Now usually, to see the true extent of his mana, you would use your own mana or a spell to break through those barriers..." She drawled off, Thordan was quite literally on the edge of his seat. "Though such a method is only possible if you possess more mana than the subject." Thordan blinked in confusion at just what she was getting at, but quickly she clarified. "I could not break through a single barrier to even get a hint of what his true mana was like."

"Wha-that's.....that's absurd," Thordan breathed out, and even Aleister knitted his brows in confusion.

"You have even more mana than Lucinda herself, with your mana alone you could theoretically power multiple nations at once," Aleister murmured. "And you're saying Mikoto has more mana than that?"

"Indeed, if I could theoretically power nations with mana alone, then he can power the entire realm and still have mana to spare," a smile graced her lips. "Even if he were not capable of complex spells, any sorcerer, average or not, can weaponize their own mana. You see where I dare go with this."

"He could wipe Galadriel off the map," Aleister surmised, a frown on his face, he may have underestimated Mikoto's sheer destructive capabilities.

Thordan exhaled deeply, "I thought I would always die in battle or old age, yet it might just be a heart attack."

Guinevere snorted. "Mayhap, but at the end of the day, he is still a boy, I doubt he would commit genocide."

"Can you truly say that when we know so little about him?" King Thordan questioned.

"Maybe not," she shrugged with a smirk. "But everyone has something they desire, we merely need to find out what it is he wants. And then simply appeal to him, there is no need to be antagonistic."

"Easier said than done," Aleister mumbled. "He does not seem like the open type."


("Geez, they're talking about me like I'm some lost cause.") Mikoto still listened to Astrid attentively as he mulled over his thoughts. ("Even if I go through that edgy phase crap, I doubt I'd ever commit genocide. Hell, even now I'm still thinking about those Vel'ryr soldiers I killed, even if I don't consider them to be huma-")

"Holy shit, I'm Hitler," he blurted out.

"Pardon?" Astrid asked in polite confusion.

Mikoto cleared his throat, "Sorry, I just had a revelation." Mikoto waved off. ("I'm basically a Nazi with my prejudice against Vel'ryrians. Hell, I've been calling them animals! Am I seriously just realizing this!?")

"I see, well, I hope it was a good one," Astrid offered, with her bright smile having no idea what was going through his head. "There was something I am curious about, though."

"And what's that?" Mikoto asked, trying to shake off earlier thoughts.

"If you do not mind my asking, though if it is a personal matter, then you need not answer," she started, a small smile playing at her lips. "But why do you wear the mask?"

Mikoto heaved a deep sigh, "See, I'm cursed."

"Cursed?" She echoed with furrowed brows, a flash of pity in her eyes as she continued.

"Severe curse, I'm afraid," Mikoto uttered gravely. "I had it since I was born."

"I...I'm sorry, I did not know," Astrid pursed her lips in shame. "I should not have asked."

"No, it's fine, I'll tell you what it is."

"You really don't need to," she assured.

"See, I'm cursed....." She waited, curiosity seemed to have a better grip on her currently than tact. "...with extremely good looks."


"I know, shocking," Mikoto shook his head with an exasperated sigh. "I have to wear this mask so men and women don't fall in love with me, I'm just too good looking." Astrid blinked.

"I-I see?" It sounded more like a question from her. Either she thought he was being serious, or she was just too polite to refute. He could not hear her thoughts as the large doors to the throne room opened as Aleister stepped out. "Oh? Are you already done conversing?"

"Yes, we did not have much to discuss, only Mikoto's standing in the upcoming festival," he informed.

Materials data, as found in the file
~~~
Entry from the Materials Project: a geometry-optimized Ca2SnHg structure (meta-GGA r2SCAN).

**Total energy**: -22.7764 eV per atom

Cell: 5.4141 5.4141 5.4141 Å, 60.00 60.00 60.00°
Closest atoms and distances in Å follow each position.
Fractional coordinates of all 4 atoms:
1 Ca 0.2500 0.2500 0.2500  4 Hg 3.32, 4 Sn 3.32
2 Ca 0.7500 0.7500 0.7500  4 Hg 3.32, 4 Sn 3.32
3 Sn 0.0000 0.0000 0.0000  8 Ca 3.32
4 Hg 0.5000 0.5000 0.5000  8 Ca 3.32

---

Entry from the Materials Project: a geometry-optimized SrCaHg2 structure (meta-GGA r2SCAN).

**Total energy**: -30.7950 eV per atom

Cell: 5.4797 5.4797 5.4797 Å, 60.00 60.00 60.00°
Closest atoms and distances in Å follow each position.
Fractional coordinates of all 4 atoms:
1 Sr 0.0000 0.0000 0.0000  8 Hg 3.36
2 Ca 0.5000 0.5000 0.5000  8 Hg 3.36
3 Hg 0.2500 0.2500 0.2500  4 Ca 3.36, 4 Sr 3.36
4 Hg 0.7500 0.7500 0.7500  4 Ca 3.36, 4 Sr 3.36

---

Entry from the Materials Project: a geometry-optimized CaTbHg2 structure (meta-GGA r2SCAN).

**Total energy**: -34.8594 eV per atom

Cell: 5.2597 5.2597 5.2597 Å, 60.00 60.00 60.00°
Closest atoms and distances in Å follow each position.
Fractional coordinates of all 4 atoms:
1 Ca 0.0000 0.0000 0.0000  8 Hg 3.22
2 Tb 0.5000 0.5000 0.5000  8 Hg 3.22
3 Hg 0.2500 0.2500 0.2500  4 Tb 3.22, 4 Ca 3.22
4 Hg 0.7500 0.7500 0.7500  4 Tb 3.22, 4 Ca 3.22

---

Entry from the Materials Project: a geometry-optimized CaI2 structure (meta-GGA r2SCAN).

**Total energy**: -20.5785 eV per atom

Cell: 4.5290 4.5290 7.2098 Å, 90.00 90.00 120.00°
Closest atoms and distances in Å follow each position.
Fractional coordinates of all 3 atoms:
1 Ca 0.0000 0.0000 0.0000  6 I 3.15
2 I 0.3333 0.6667 0.2443  3 Ca 3.15
3 I 0.6667 0.3333 0.7557  3 Ca 3.15

---

Entry from the Materials Project: a geometry-optimized KCaI3 structure (meta-GGA r2SCAN).

**Total energy**: -19.1469 eV per atom

Cell: 7.9366 7.9366 11.6910 Å, 90.00 90.00 146.33°
Closest atoms and distances in Å follow each position.
Fractional coordinates of all 10 atoms:
1 K 0.2495 0.7505 0.7500  6 I 3.52-3.65
2 K 0.7505 0.2495 0.2500  6 I 3.52-3.65
3 Ca 0.0000 0.0000 0.0000  6 I 3.14-3.16
4 Ca 0.0000 0.0000 0.5000  6 I 3.14-3.16
5 I 0.0748 0.9252 0.2500  2 Ca 3.14
6 I 0.3641 0.6359 0.0570  2 Ca 3.16
7 I 0.3641 0.6359 0.4430  2 Ca 3.16
8 I 0.6359 0.3641 0.5570  2 Ca 3.16
9 I 0.6359 0.3641 0.9430  2 Ca 3.16
10 I 0.9252 0.0748 0.7500  2 Ca 3.14

---

Entry from the Materials Project: a geometry-optimized Ca3PI3 structure (meta-GGA r2SCAN).

**Total energy**: -16.5719 eV per atom

Cell: 10.7241 10.7241 10.7241 Å, 109.47 109.47 109.47°
Closest atoms and distances in Å follow each position.
Fractional coordinates of all 28 atoms:
1 Ca 0.0178 0.0356 0.2678  2 P 2.88, 2 I 3.16
2 Ca 0.0178 0.4822 0.7500  2 P 2.88, 2 I 3.16
3 Ca 0.0356 0.2678 0.0178  2 P 2.88, 2 I 3.16
4 Ca 0.2322 0.2678 0.7500  2 P 2.88, 2 I 3.16
5 Ca 0.2322 0.4644 0.4822  2 P 2.88, 2 I 3.16
6 Ca 0.2678 0.0178 0.0356  2 P 2.88, 2 I 3.16
~~~

("And how I might potentially commit mass genocide.") Mikoto mentally added.

"At any rate, farewell for now, princess," Aleister gave a short bow as he turned to him. "We must make for the capital. I relied a message to James to meet us there with the rest of the chosen students."

"Mhm? For what?"

"Since you lot are our trump cards, you need to be best prepared," Aleister drawled. "So we are going to get you outfitted, with armor befitting legends."